The Trump Boat Parades are the greatest examples of ignorant white privilege.
I have to say ignorant because if you are woke, you could not, would not participate in a Trump boat parade. With wisdom you could see that a boat parade is screaming “look at me and my money”.
Boats come from two types of homes: where dad does what he wants, mom says “don’t question him” and the boat payments are his way of saying “my money, I’ll spend it as I want”. The other home that a boat comes from is, the home where a boat is easily afforded and no one is deprived just because someone bought a boat.
No matter which home the boat comes from, a boat screams “I have excess dollars, look at me”. Boats are excessively expensive and the care of them is even more expensive.

It’s not a good message in our economy. Not right now. There are millions of people without jobs, millions of families who don’t know where the next meal is coming from. Showing these families your money is like rubbing pepper on a kitchen cut; or rubbing salt onto a burn.
The Trump boat parades are indicative of an attitude that says “we don’t care about you and your suffering, we don’t care that you are starving, we have enough money and we can burn it”. What Trumpers don’t realize is that the people who don’t have enough money are the majority of people in this country. Pre-pandemic over 75% of Americans were living paycheck to paycheck. The country is hurting economically, more than anything else. More than anything else, we are facing economic deprivation.
It’s clear to a feeling person that showing off with money has been out of style since the nineties. No one appreciates ostentation.
Here the piece breaks off for materials data:
┌──
(1)
A relaxed Li2FeCo3O8 crystal, computed with PBE with a Hubbard U.

Properties
The space group is P1 (1). The value obtained for the final energy is -5.8625 eV per atom. The total magnetization comes out at 5.50 μB/f.u.

Unit cell a=8.134 b=8.099 c=8.084 alpha=89.87 beta=89.89 gamma=89.93
Atoms (fractional coordinates):
Co (0.376, 0.874, 0.125)
Co (0.878, 0.627, 0.876)
Co (0.876, 0.878, 0.626)
Co (0.373, 0.622, 0.372)
Co (0.372, 0.373, 0.623)
Co (0.625, 0.124, 0.126)
Co (0.874, 0.124, 0.378)
Co (0.124, 0.127, 0.625)
Co (0.628, 0.875, 0.878)
Co (0.126, 0.624, 0.125)
Co (0.622, 0.372, 0.375)
Co (0.125, 0.377, 0.873)
Li (0.248, 0.749, 0.747)
Li (0.000, 0.999, 0.002)
Li (0.498, 0.001, 0.503)
Li (0.750, 0.248, 0.748)
Li (0.002, 0.502, 0.504)
Li (0.499, 0.502, 0.003)
Li (0.250, 0.248, 0.248)
Li (0.750, 0.750, 0.246)
O (0.608, 0.378, 0.604)
O (0.387, 0.385, 0.386)
O (0.108, 0.112, 0.387)
O (0.381, 0.610, 0.603)
O (0.138, 0.363, 0.640)
O (0.390, 0.887, 0.887)
O (0.362, 0.639, 0.141)
O (0.137, 0.142, 0.864)
O (0.359, 0.137, 0.640)
O (0.112, 0.385, 0.108)
O (0.613, 0.110, 0.888)
O (0.605, 0.603, 0.373)
O (0.863, 0.863, 0.863)
O (0.113, 0.889, 0.607)
O (0.359, 0.363, 0.861)
O (0.891, 0.388, 0.887)
O (0.638, 0.362, 0.141)
O (0.859, 0.360, 0.366)
O (0.138, 0.862, 0.143)
O (0.113, 0.610, 0.887)
O (0.641, 0.874, 0.646)
O (0.639, 0.139, 0.363)
O (0.142, 0.638, 0.364)
O (0.890, 0.116, 0.608)
O (0.862, 0.138, 0.142)
O (0.891, 0.609, 0.114)
O (0.641, 0.645, 0.875)
O (0.888, 0.892, 0.384)
O (0.362, 0.859, 0.363)
O (0.390, 0.112, 0.110)
O (0.611, 0.888, 0.111)
O (0.869, 0.642, 0.639)
Fe (0.628, 0.626, 0.627)
Fe (0.126, 0.875, 0.375)
Fe (0.375, 0.124, 0.875)
Fe (0.875, 0.376, 0.125)

(2)
A relaxed LiVP3O9 crystal, computed with PBE with a Hubbard U.

Properties
The space group is Pnma (62). The value obtained for the final energy is -7.1505 eV per atom. The total magnetization comes out at 3.00 μB/f.u.

Unit cell a=7.369 b=9.242 c=12.066 alpha=90.00 beta=90.00 gamma=90.00
Atoms (fractional coordinates):
O (0.444, 0.116, 0.118)
O (0.022, 0.349, 0.240)
O (0.478, 0.849, 0.260)
O (0.750, 0.142, 0.943)
O (0.978, 0.651, 0.760)
O (0.419, 0.655, 0.961)
O (0.056, 0.616, 0.382)
O (0.478, 0.349, 0.240)
O (0.750, 0.902, 0.639)
O (0.944, 0.884, 0.882)
O (0.056, 0.116, 0.118)
O (0.081, 0.655, 0.961)
O (0.978, 0.151, 0.740)
O (0.919, 0.345, 0.039)
O (0.522, 0.651, 0.760)
O (0.944, 0.384, 0.618)
O (0.419, 0.155, 0.539)
O (0.750, 0.696, 0.314)
O (0.250, 0.098, 0.361)
O (0.250, 0.358, 0.443)
O (0.250, 0.598, 0.139)
O (0.556, 0.384, 0.618)
O (0.022, 0.849, 0.260)
O (0.750, 0.642, 0.557)
O (0.581, 0.845, 0.461)
O (0.250, 0.858, 0.057)
O (0.250, 0.804, 0.814)
O (0.750, 0.196, 0.186)
O (0.250, 0.304, 0.686)
O (0.522, 0.151, 0.740)
O (0.750, 0.402, 0.861)
O (0.919, 0.845, 0.461)
O (0.444, 0.616, 0.382)
O (0.081, 0.155, 0.539)
O (0.581, 0.345, 0.039)
O (0.556, 0.884, 0.882)
P (0.453, 0.749, 0.848)
P (0.750, 0.305, 0.958)
P (0.953, 0.251, 0.152)
P (0.250, 0.195, 0.458)
└──
The materials data stop here:
The Trump boat parades are a way of identifying with Trump. It’s a way of saying “hey, greed and even racism is okay”. The wealthy are obsessed with the idea of not allowing anyone to take their own money – which is fair.
However, they (the wealthy) also want one other thing and that is to worship on the altar of capitalism. Capitalism is the thing that makes all stealing, raping and looting justified. After all, it is done for the almighty dollar.
Racism serves the purpose of having a handy victim so that no white has to feel “less than”. By having an entire race of humans that can be subjugated and told that they are less than, whites are able to keep their heads up high.
By identifying with Trump, whites are able to justify their greed. They are also able to be “better than” and to subjugate an entire other race. This is also why it is so hard for Trump supporters to give up on supporting Trump. White men can thoroughly identify with Trump. Old men whose values are under attack by the up and coming generations that cannot agree with their values.
Lots of people don’t want to give up the nineties, it was okay to be greedy and even condescending. It was especially gratifying to keep their boots on the necks of others. Feeling superior was a national pastime. Every working supervisor in America was busy grinding their feet onto the backs of working Americans.
None of this has changed. We are still a group of people that want to feel superior and one up on everyone else. Who doesn’t walk into a room trying to figure out how to present as smart, or moneyed or cool?
All Americans are complicit in the racism dance. We never did enough to resolve racism. We gave the concept a lot of lip service, but never enough real effort to eradicate racism. We could have outlawed racism decades ago. We didn’t. Just like the minimum wage, we sat complicitly allowing awful things to happen to others.